Power List Q&A: NAACP Boston President Tanisha Sullivan
Tanisha Sullivan, president of the Boston NAACP chapter, on the city's public school closures and the 2020 NAACP convention.

Photo illustration by Joe McKendry
As Boston’s leaders strive to address the city’s long-standing racial issues, Sullivan has emerged as a community voice demanding substance over symbolism. She will get an even bigger platform when the NAACP comes to Boston this summer for its annual convention—unless, that is, the coronavirus pandemic derails the plans.
What’s been keeping you up at night since COVID-19 arrived in Boston?
It was not lost on us that the mayor’s announcement that schools would be closing came within hours of the Department of Elementary and Secondary Education releasing its very scathing civil rights report on the district. Our kids cannot afford months out of school with no learning. A lot of people were talking about lack of technology, and about the food insecurity of children relying on Boston Public Schools to feed them two meals a day. But there were other issues that we identified. There are safety and child welfare concerns when we’re sending kids home.
What about economic concerns?
So many of our black and brown neighbors are reliant upon the service industries that are being closed for a period of time. And for those businesses that are designated as essential, are employers making sure their workers are not being exposed to the virus? There are some estimates that we could have an unemployment rate of 20 percent. That would be incredibly devastating. We will be working with both the city and the state to make sure that supports are there for people when we emerge from this crisis.
- - -
Calculated X-ray diffraction stick pattern of PmEr2MoO8 for a wavelength of 1.5418 Å, from a cell relaxed with GGA+U.

Crystal structure
```
12
Lattice="3.539 -3.568 0.000 3.539 3.568 0.000 0.000 0.000 6.888" Properties=species:S:1:pos:R:3 pbc="T T T"
Pm 0.000 0.000 0.000
Er 3.539 0.000 1.770
Er 3.539 0.000 5.118
Mo 0.000 0.000 3.444
O 3.539 2.243 2.018
O 3.539 2.243 4.871
O 1.966 0.000 3.444
O 2.245 0.000 0.000
O 4.833 0.000 0.000
O 5.112 0.000 3.444
O 3.539 -2.243 2.018
O 3.539 -2.243 4.871
```

Peak list (12 most intense, 10 to 90 degrees two-theta, by angle)
two_theta	d/Å	I (rel.)
24.96	3.568	57.4
25.16	3.539	54.8
31.49	2.841	100.0
35.74	2.513	28.7
48.24	1.886	39.5
48.48	1.878	38.0
51.66	1.769	9.4
58.20	1.585	9.5
59.61	1.551	10.6
61.56	1.506	22.2
65.74	1.420	11.2
87.04	1.119	9.4

=====

Starting from a structure optimized by DFT (PBE), the X-ray diffraction stick pattern of Pm5Rh5Pb2 was calculated for Cu Kα, 1.54184 Å.
Neutral-atom scattering factors, no anomalous dispersion.

Most intense lines, 2θ = 10–90°, sorted by position:
- 29.6°, rel. 67
- 30.3°, rel. 33
- 32.3°, rel. 59
- 32.6°, rel. 100
- 36.2°, rel. 23
- 36.6°, rel. 22
- 41.7°, rel. 26
- 42.4°, rel. 20
- 43.9°, rel. 16
- 46.9°, rel. 33
- 49.0°, rel. 17
- 58.3°, rel. 18

Unit cell a=14.002 b=3.871 c=11.252 alpha=90.00 beta=100.89 gamma=90.00
Space group C2/m (No. 12)
Asymmetric unit:
Pm 0.000 0.000 0.000 x2
Pm 0.145 0.000 0.550 x4
Pm 0.242 0.500 0.131 x4
Rh 0.000 0.500 0.500 x2
Rh 0.115 0.500 0.889 x4
Rh 0.213 0.000 0.314 x4
Pb 0.058 0.500 0.283 x4

=====

Starting from a structure optimized by DFT (PBE), the X-ray diffraction stick pattern of Pm12Ru2Pb5 was calculated for Cu Kα, 1.54184 Å.
Neutral-atom scattering factors, no anomalous dispersion.

Most intense lines, 2θ = 10–90°, sorted by position:
- 19.3°, rel. 57
- 21.1°, rel. 62
- 29.5°, rel. 100
- 31.1°, rel. 62
- 31.4°, rel. 63
- 33.1°, rel. 74
- 35.8°, rel. 52
- 38.1°, rel. 29
- 39.4°, rel. 43
- 41.1°, rel. 25
- 46.7°, rel. 31
- 48.4°, rel. 29

Unit cell a=17.802 b=7.778 c=10.033 alpha=90.00 beta=106.31 gamma=90.00
Space group C2/m (No. 12)
Asymmetric unit:
Pm 0.002 0.000 0.325 x4
Pm 0.003 0.500 0.732 x4
Pm 0.148 0.250 0.071 x8
Pm 0.158 0.261 0.580 x8
Ru 0.000 0.290 0.500 x4
Pb 0.000 0.000 0.000 x2
Pb 0.191 0.500 0.334 x4
Pb 0.199 0.500 0.859 x4

=====

Starting from a structure optimized by DFT (PBE), the X-ray diffraction stick pattern of Pm7RuPb2 was calculated for Cu Kα, 1.54184 Å.
Neutral-atom scattering factors, no anomalous dispersion.

Most intense lines, 2θ = 10–90°, sorted by position:
- 22.7°, rel. 28
- 27.9°, rel. 88
- 32.3°, rel. 100
- 39.9°, rel. 13
- 46.4°, rel. 73
- 55.0°, rel. 40
- 57.7°, rel. 25
- 62.8°, rel. 7
- 67.7°, rel. 12
- 74.8°, rel. 16
- 77.1°, rel. 32
- 86.1°, rel. 25

Unit cell a=11.070 b=11.070 c=11.070 alpha=90.00 beta=90.00 gamma=90.00
Space group Fm-3m (No. 225)
Asymmetric unit:
Pm 0.000 0.000 0.000 x4
Pm 0.000 0.000 0.259 x24
Ru 0.000 0.000 0.500 x4
Pb 0.250 0.250 0.250 x8

=====
- - -
The NAACP 2020 convention coming to Boston seems like a great opportunity, but are you fearful it will also open old wounds that are slowly healing?
Look, we can’t change our past. The data is the data. Everyone acknowledges upfront, outright that we have issues with racial inequality and systemic racism, and the inequities can’t change within the next few months. So that shouldn’t be the expectation. When we get to July, and we’re talking about the story of Boston as it relates to racial equity, access, and opportunity, our best hand is to say, “Yep, we have this problem, we know it’s systemic, here are the things that we’ve done to address it, and this is what we’re going to do going forward.”
In a sense, is this convention giving you leverage to prod leaders in the city toward action?
Yes, and a key point is that we’re seeing it outside of government. Often in this civil rights and social justice work, we look to government to be the answer. Thanks to this convention coming, we’re now seeing business leaders and organizations that don’t necessarily appear to be our natural allies wanting to learn more about some of the things we’ve been tackling for generations.